Thursday, February 28, 2019

Coffee Chat: Connection IS Motivation - s2e60

One challenge in leading others it to transfer to them the vision, the passion for the task to be done. One way to do this is to connect them to the underlying reasoning that allows whatever it is you want to do make sense.

SNAPlife: It's Normal To Struggle - s2e59

If you can remember that everyone is struggling, it will help temper your reactions to people who may also be having a bad day, too. Keeping this in mind will help you not overreact when people do things that aren't exactly the way you want them.

The fact that all people struggle is a reality for everyone. When things don't work out, you have two choices: you can give up or you can find a new way to get things done.

Tuesday, February 26, 2019

SNAPlife: Doing Something You Shouldn't VS Not Doing Something You Shoul...

Inserted here: data records:
~~~
Density functional theory data (ωB97M-V with the def2-TZVPD basis set) for 3 unconnected molecules or ions with the total composition CH9N3O2.

Structure (ORCA input):
```
! wB97M-V def2-TZVPD RIJCOSX def2/J DEFGRID3
* xyz 0 1
N -2.367 0.117 0.923
C -1.384 -0.413 0.323
N -1.128 -0.248 -1.039
N -0.455 -1.262 0.929
H -2.891 0.713 0.297
H -1.257 0.695 -1.393
H -0.257 -0.607 -1.390
H -0.305 -2.078 0.366
H -0.518 -1.560 1.885
O 1.665 0.775 -1.840
H 1.387 1.076 -0.950
H 2.597 0.756 -1.719
O 1.774 0.686 0.865
H 0.964 0.233 1.111
H 2.175 1.117 1.632
*
```

Summary:
HOMO energy   -9.4 eV
Relative energy (zero: lowest compared OMol25 entry of this formula, charge and spin)   0.358 eV
SMILES   N=C(N)N.O.O
Orbital gap   10.1 eV

***

Density functional theory data (ωB97M-V with the def2-TZVPD basis set) for a gas-phase ion, C27H40NO5 (charge -1).

Structure (ORCA input):
```
! wB97M-V def2-TZVPD RIJCOSX def2/J DEFGRID3
* xyz -1 1
C 3.903 -2.348 -0.363
C 2.661 -1.764 -1.014
O 1.516 -1.874 -0.102
C 0.231 -1.495 -0.403
O -0.389 -1.899 -1.369
C -0.306 -0.496 0.591
C 0.432 0.704 -0.609
N 1.546 1.187 -0.067
C 1.357 2.395 0.537
O 0.297 3.001 0.747
O 2.584 2.862 0.945
C 2.676 4.200 1.495
C 1.766 4.349 2.697
C 2.304 5.201 0.414
C 4.149 4.337 1.884
C 0.550 0.512 -2.159
C -0.510 0.009 -2.945
C -0.325 -0.372 -4.265
C 0.960 -0.246 -4.841
C 2.010 0.274 -4.073
C 1.780 0.739 -2.783
C 0.408 -0.983 1.903
C 0.205 -2.519 2.280
C -1.208 -3.127 2.144
C -1.708 -3.686 0.797
C -3.216 -3.974 0.617
C -4.144 -2.739 0.654
C -4.109 -1.851 -0.609
C -4.370 -0.336 -0.380
C -3.204 0.587 -0.823
C -2.453 1.135 0.332
C -1.689 -0.038 1.046
O -2.216 -0.477 2.066
H 4.714 -2.344 -1.108
H 4.226 -1.717 0.473
H 3.759 -3.379 -0.016
H 2.826 -0.692 -1.145
H 2.426 -2.246 -1.975
H -0.622 1.083 -0.463
H 1.997 3.593 3.462
H 1.906 5.337 3.153
H 0.722 4.256 2.377
H 2.933 5.030 -0.473
H 1.249 5.052 0.146
H 2.452 6.233 0.765
H 4.789 4.182 1.004
H 4.374 5.326 2.296
H 4.424 3.594 2.647
H -1.498 -0.155 -2.486
H -1.199 -0.759 -4.828
H 1.124 -0.596 -5.859
H 3.044 0.374 -4.488
H 2.603 1.167 -2.185
H 1.472 -0.727 1.734
H 0.056 -0.398 2.769
H 0.470 -2.621 3.357
H 0.951 -3.081 1.695
H -1.887 -2.337 2.503
H -1.311 -3.962 2.872
H -1.157 -4.625 0.572
H -1.448 -3.012 -0.028
H -3.563 -4.703 1.361
H -3.329 -4.457 -0.367
H -3.916 -2.142 1.547
H -5.184 -3.082 0.766
H -4.910 -2.195 -1.294
H -3.159 -2.019 -1.151
H -4.552 -0.153 0.692
H -5.280 -0.039 -0.943
H -3.590 1.381 -1.473
H -2.488 0.015 -1.398
H -3.176 1.595 1.020
H -1.739 1.952 0.124
*
```

Summary:
HOMO energy   -4.4 eV
SMILES   CCOC(=O)[C@]1([C@@H](/N=C(\[O-])OC(C)(C)C)c2ccccc2)CCCCCCCCCCC1=O
Orbital gap   7.4 eV

***

Density functional theory data (ωB97M-V with the def2-TZVPD basis set) for a molecular structure, C48H64BN12.

Structure (ORCA input):
```
! wB97M-V def2-TZVPD RIJCOSX def2/J DEFGRID3
* xyz -1 1
B 0.394 -0.425 -0.303
H 0.425 -0.435 -1.532
H -0.447 0.372 0.184
H 0.352 -1.758 0.008
H 1.530 0.079 0.151
N 0.797 -0.862 3.145
C 2.099 -1.093 3.709
~~~

Your mission (life mission, organization mission) should define the broad scope of what you want to accomplish. It should be the guiding light by which you evaluate all of the things you do.

Though many people have a general idea of what they want to achieve, often, their resources are taxed by things that don't fit into the overall mission. The result is that resources are being used that do nothing toward advancing the missions and things that would advance the mission are left undone.

Sunday, February 24, 2019

SNAPlife: Your Choices, Your Consequences - s2e56

Many people stand on the "right" to make choices for themselves, for their business, for their family and close friends. Each of these choice come with results. Depending on the decisions made, different things can happen.

Often, when things don't work out, people want to cast blame away. "It wasn't my fault!"

Maybe it was. Maybe the series of choices you have made over your life have resulted in the circumstances were the undesirable results were likely.

In fact, it probably was (if not your fault) precisely the consequences of your decisions.

Friday, February 22, 2019

SNAPlife: Is It Time To Abandon Your Goal? - s2e55

Setting goals is fairly common. Abandoning goals is an equal reality.

Should you give up on your goal? Should you walk away from a goal you set?

There are two reasons you should just forget about your goals and cut them away from your life mission. If the goal was bad in the first place, abandoning it actually moves you closer to your life mission. Similarly, if the goal started off as a good one, but if the circumstances that were true when you set the goal change, then it is very possible that the goal no longer is compatible with your life circumstances.

Otherwise… should you give up on a goal?

Thursday, February 21, 2019

Coffee Chat: Being A Teacher / Mentor - s2e53

Teaching… leading… mentoring… Words that mean a lot more than just shoving facts into someone's head.

There is an amazing privilege that goes along with helping others grow. Guiding someone toward their goals and toward things they need to become a better version of themselves is a huge responsibility and amazing experience. 

Monday, February 18, 2019

SNAPlife: A Dream Realized - s2e50

Dreams are personal. Saying one person's dream is better or worse than someone else's is unfair. There is value of a sort in taking the steps needed to move a dream from fantasy towards reality.

It takes work. But if you have a dream, start the process of making plans. Set goals and find the steps needed to make your dream come true.

Saturday, February 16, 2019

SNAPlife: What To Do With Your Dreams - s2e49

Even after you have come up with a life mission and set goals, it's still not too late to have dreams. Dreams are that star on the horizon that catches our eye and compels us to ask, "What if…?"

Dreams that are never embraced and configured into the life purpose, that never become part of the plan of action remain a fantasy idea. Without putting actions in place, without moving ideas from the realm of wishing-for to the realm of goals, you will never reach dream.

Don't forever let your dreams remain on the horizon. Bring them into the plan and go for them.

Thursday, February 14, 2019

SNAPlife: Compassion And Kindness Are The Epitome Of Humanity At Its Bes...

When you see a need, do you take action? Are you a bystander, letting things happen without getting involved, or do you step in and try to make things better?

Seeing the needs of others and showing compassion and kindness are the highest, most noble aspects of humanity. Showing care to others and helping them is fulfilment of the purpose for which people were created. We are meant to look into the world around us and make it better, and that means seeing things through the eyes of others and taking actions to make things better.

Wednesday, February 13, 2019

Coffee Chat: "Just This Once" is the First Step Toward Failure - s2e47

=====
[1]
The following is a DFT calculation (the ωB97M-V functional and the def2-TZVPD basis) of a 2-piece molecular cluster, C2H7N2O2 overall at a distorted geometry.

Bonds (Å) are listed after each position.
Element x y z (Å)
1 N 1.17 0.93 -0.49  C2 1.421, H4 1.003, H5 1.016
2 C 2.10 -0.07 -0.11  N1 1.421, N3 1.478, H6 1.097, H7 1.089
3 N 1.51 -1.29 0.49  C2 1.478, H8 1.021, H9 1.019
4 H 0.88 1.69 0.10  N1 1.003
5 H 0.38 0.54 -0.98  N1 1.016
6 H 2.81 0.31 0.63  C2 1.097
7 H 2.69 -0.40 -0.97  C2 1.089
8 H 0.75 -1.56 -0.14  N3 1.021
9 H 0.96 -0.94 1.28  N3 1.019
10 O -1.89 1.16 0.51  C11 1.240
11 C -1.85 -0.05 0.24  O10 1.240, O12 1.249, H13 1.129
12 O -1.40 -0.61 -0.78  C11 1.249
13 H -2.27 -0.73 1.04  C11 1.129

Calculated values
**Largest force on an atom**: 1.5 eV Å⁻¹
**HOMO**: -4.35 eV
**Total charge**: -1
**E_LUMO**: 4.380 eV
**Relative energy (zero: lowest compared OMol25 entry of this formula, charge and spin)**: 11.4 kcal/mol



[2]
The following is a DFT calculation (the ωB97M-V functional and the def2-TZVPD basis) of a 2-piece molecular cluster, C2H7N2O2 overall at a distorted geometry.

Bonds (Å) are listed after each position.
Element x y z (Å)
1 C 2.38 0.41 -0.45  N3 1.327, O5 1.241, H7 1.088
2 C -1.48 -0.20 0.17  N4 1.344, O6 1.268, H8 1.094
3 N 1.09 0.58 -0.69  C1 1.327, H9 0.978, H13 1.061
4 N -2.73 -0.34 0.64  C2 1.344, H10 1.097, H11 1.073
5 O 2.86 -0.44 0.31  C1 1.241, H12 1.012
6 O -0.52 -0.96 0.50  C2 1.268
7 H 3.22 0.96 -0.87  C1 1.088
8 H -1.60 0.60 -0.57  C2 1.094
9 H 0.60 1.31 -1.13  N3 0.978
10 H -2.86 -1.28 1.19  N4 1.097
11 H -3.50 0.31 0.27  N4 1.073
=====

Long term goals and plans take discipline to see them achieved. It's easy to get derailed when you think you can set aside the program "just this once."

But "just this once" leads to "just this once, again," which leads to "just one more time." Eventually, you've abandoned the goal completely.

Tuesday, February 12, 2019

SNAPlife: Does Your Plan Cover Contingencies? - s2e44

Planning. You need to do it, no matter what the scope of the task. How will you get from point A to point B?

And, beyond having a plan, you need to anticipate what could go wrong… and more importantly, what will you do if they do!

• Misplaced calculated molecules:
/*
Below is 2 unconnected molecules or ions with the total composition CH4N3 in a non-equilibrium geometry, with properties calculated with wB97M-V/def2-TZVPD.

The geometry in ORCA input format:
```
! wB97M-V def2-TZVPD RIJCOSX def2/J DEFGRID3
* xyz 1 1
C -0.27 0.00 0.15
N -1.47 0.72 0.23
N -1.28 -0.68 -0.19
N 2.16 -0.27 0.04
H -2.08 1.05 1.07
H -1.86 -1.31 -0.65
H 2.04 -0.02 -1.06
H 2.77 0.49 0.40
*
```

Properties
Gap between HOMO and LUMO (alpha / beta) = 6.78 / 6.64 eV
LUMO energy (alpha / beta) = -0.308 / -0.313 Eh
Relative energy (zero: lowest compared OMol25 entry of this formula, charge and spin) = 213.5 kcal per mole
Largest force on an atom = 0.078 hartree/bohr
HOMO energy (alpha / beta) = -15.166 / -15.166 eV

~~~~~

Entry 1:
{
  "formula": "CH3O2",
  "method": "ωB97M-V/def2-TZVPD",
  "symbols": ["H", "O", "O", "H", "H", "C"],
  "coordinates": [[-2.756898, -3.881198, 3.806600], [-3.804820, -1.872890, 3.806600], [-0.676830, 0.286104, 3.806600], [-0.695253, -0.694348, 3.806600], [-1.595269, 0.568732, 3.806600], [-3.102570, -2.811349, 3.806600]],
  "forces_ev_per_a": [[-1.80, 0.58, 0.00], [-1.10, -0.94, 0.00], [0.20, -0.81, 0.00], [-0.17, 0.93, 0.00], [-0.08, -0.15, 0.00], [2.95, 0.39, 0.00]],
  "s2": 0.752,
  "charge": 0,
  "de_lowest_kcal_mol": 3.0,
  "spin_multiplicity": 2,
  "orbital_gap_ev": [7.889, 11.863],
  "homo_energy_ev": [-7.400, -11.323]
}

Entry 2:
{
  "formula": "C11H29N5O13",
  "method": "ωB97M-V/def2-TZVPD",
  "symbols": ["H", "C", "N", "H", "H", "C", "H", "N", "H", "H", "C", "H", "H", "O", "H", "H", "C", "H", "N", "C", "O", "H", "O", "H", "H", "C", "C", "H", "N", "O", "O", "O", "C", "C", "O", "C", "H", "H", "H", "H", "H", "H", "H", "C", "O", "O", "O", "O", "H", "H", "H", "H", "N", "O", "H", "H", "O", "H"],
*/

Monday, February 11, 2019

Live Better: What To Do When "Things" Just Don't Line Up - s2e43

Humans are created with a lot more "radar" systems than you think. We are constantly picking up stimuli from the environment and processing them.

Sometimes, the signals don't make sense, even if we are not able to articulate why. When things don't add up, you need to stop, appraise the situation, and make the appropriate decision as to what to do next.

Sunday, February 10, 2019

SNAPlife: The Four "A"s of Dealing With Stress - s2e42

Stress is the body's reaction to stimuli from the environment that elevates the alert response status to prepare the body to take care of itself in the face of danger. But in 21st Century culture, there are many stressors that increase our level of anxiety without otherwise offering positive benefit. Our world if full of stressors.

What can you do?

There are four strategies you can apply to reducing stress:

1. Avoid
2. Alter
3. Adapt
3. Accept what's left

Friday, February 08, 2019

Planning Is Futile

It's not the plan. The best plan, not followed, ends up with worse results than a poor plan that is executed.

Thursday, February 07, 2019

Day In The Life: Optimizing Your Situation For Success - s2e39

There often comes a time when you look around and think you have room to grow. When that happens, you need to do four things to get from where you are to where you want to be.

First, look around and see where you are and what is going on around you.

Next, speculate, estimate, or conjecture what you could be doing in the space nearby.

Third, appraise the situation to find obstacles and barriers that would keep you from expanding in that way.

Finally, create a plan to go from where you are to that new place and execute it.

Wednesday, February 06, 2019

Shawn Guenther—Failure Doesn't Always Look Like Failure

Failure… We don't like that word in 21st Century western culture. But failure is a fact of life, and it teaches us where to go and how to change as we go forward.

But, another type of failure is to fail yourself. To pour all of your time into something that does not really fit with what you want and need to be doing.